Assignment:
Please copy only the last part of the material underneath, starting with the line that has "6.58397 0.1".

Data:
-- begin --
[1]
The following is a DFT calculation (the ωB97M-V functional and the def2-TZVPD basis) of a cluster of 5 separate species, C43H63IO9 in total.

The geometry in XYZ format:
```
116
Properties=species:S:1:pos:R:3:forces:R:3
C 3.67677 -5.76380 -0.01264 -0.4 0.2 -0.1
O 2.52522 -5.28303 -0.68507 0.0 -0.5 0.3
C 1.78406 -6.38262 -1.20095 0.2 0.5 -0.7
C 0.38242 -5.93858 -1.45026 0.1 -0.1 0.5
C -0.70705 -6.46410 -0.90158 0.4 0.0 0.1
C -2.07063 -5.99456 -1.24044 0.4 0.2 -0.1
O -2.99174 -6.76299 -1.18511 -0.6 -0.4 0.1
C -2.17564 -4.57266 -1.67055 -0.6 0.4 0.0
C -1.03087 -4.01364 -2.22385 0.3 0.0 0.0
C -1.01690 -2.70454 -2.62706 -0.2 0.0 -0.1
C -2.15512 -1.91729 -2.52606 0.3 0.2 0.0
C -1.95904 -0.49587 -3.02393 0.3 -0.4 0.1
O -0.68528 -0.04144 -2.59782 -0.4 0.6 0.2
C -0.53693 0.41089 -1.29617 -0.1 0.0 0.3
C -1.56601 0.90602 -0.48990 0.2 0.1 0.0
C -1.30795 1.43481 0.78271 -0.1 -0.2 -0.2
C -2.40050 2.04650 1.62181 0.2 0.1 -0.2
C -0.00435 1.42030 1.24915 -0.2 -0.1 -0.3
C 0.99814 0.88262 0.46316 -0.1 0.2 0.3
C 0.76726 0.38236 -0.80528 0.3 0.1 -0.3
C 1.89686 -0.19869 -1.63676 -0.1 0.0 0.5
C 2.15521 -1.62995 -1.16033 -0.1 0.4 -0.1
C 3.17675 0.61681 -1.54417 0.1 -0.4 -0.6
C -3.34722 -2.44206 -2.03612 0.1 0.0 0.1
C -4.57705 -1.55918 -2.02826 0.2 -0.5 0.1
C -4.93148 -0.90040 -0.68320 -0.5 0.6 -0.4
C -6.38195 -1.12897 -0.23909 0.2 0.1 0.4
C -6.52450 -1.14611 1.27677 0.2 -0.4 -0.4
O -6.71074 0.14711 1.81270 -0.1 0.1 0.2
C -3.32474 -3.77724 -1.59146 -0.3 -0.3 0.1
I -5.09265 -4.58298 -0.76416 0.2 0.2 0.0
C 0.20825 -4.82585 -2.39899 -0.6 0.3 0.1
O 0.99547 -4.59275 -3.27630 0.6 0.2 -0.4
H 4.30264 -6.35494 -0.67835 0.2 -0.1 -0.1
H 3.36959 -6.37660 0.83454 0.1 -0.1 0.2
H 4.22517 -4.90425 0.34451 0.2 0.2 0.1
H 2.23228 -6.61252 -2.16940 0.0 -0.4 -0.1
H 1.82868 -7.25521 -0.55387 -0.1 -0.1 0.2
H -0.63861 -7.30358 -0.23010 -0.1 -0.3 0.1
H -0.11339 -2.29656 -3.03967 0.2 0.1 -0.1
H -2.75688 0.19352 -2.78641 -0.1 0.1 0.3
H -1.90283 -0.54304 -4.10706 0.1 0.1 -0.2
H -2.58066 0.93257 -0.84086 -0.3 0.0 -0.2
H -2.34316 1.74448 2.65944 0.0 -0.3 0.1
H -3.38834 1.79152 1.25532 -0.2 -0.1 -0.1
H -2.31515 3.13039 1.61872 0.0 0.2 -0.1
H 0.22564 1.83869 2.21349 0.1 0.0 0.3
H 1.99151 0.88088 0.87682 0.3 -0.1 -0.1
H 1.56436 -0.19272 -2.66743 0.0 -0.2 -0.2
H 1.21668 -2.16637 -1.06737 0.0 -0.2 -0.1
H 2.84408 -2.15297 -1.81298 0.0 -0.2 -0.2
H 2.60320 -1.57356 -0.17112 0.1 -0.1 0.2
H 3.94621 0.08414 -2.09941 0.2 -0.1 -0.1
H 3.54091 0.71175 -0.52930 0.0 0.2 0.2
H 3.05958 1.57722 -2.02620 0.0 0.5 0.2
H -4.42037 -0.79809 -2.77862 -0.1 0.1 -0.2
H -5.42252 -2.14812 -2.36659 -0.2 -0.2 -0.1
H -4.22158 -1.14474 0.10162 0.1 -0.3 0.1
H -4.85696 0.17502 -0.83675 0.4 0.2 0.1
H -6.78122 -2.04071 -0.66172 0.0 -0.3 -0.1
H -7.00814 -0.30678 -0.57726 -0.2 0.0 -0.3
H -5.63494 -1.62249 1.69413 0.1 -0.1 0.2
H -7.37607 -1.75773 1.55108 -0.3 0.1 0.2
H -5.93960 0.66981 1.57795 0.1 0.1 0.1
C -3.94020 1.49261 6.61416 -0.1 0.0 0.0
C -4.41428 0.04233 6.58397 0.1 -0.1 0.1
C -4.44429 -0.24169 5.08948 0.0 0.1 -0.1
O -3.41161 0.56184 4.50203 -0.1 0.0 0.2
C -2.94492 1.51443 5.46383 0.1 -0.1 0.0
H -3.49435 1.78976 7.56196 0.0 0.0 0.0
H -4.77534 2.16427 6.40377 0.0 0.0 0.0
H -3.68142 -0.60111 7.07625 0.0 0.0 0.0
H -5.38011 -0.11449 7.06134 0.0 0.0 0.0
H -5.40129 0.05081 4.65235 -0.1 0.0 0.0
H -4.25917 -1.28995 4.85300 0.1 0.0 -0.1
H -1.94778 1.20733 5.79768 0.0 0.1 0.0
H -2.86517 2.49354 4.98858 0.0 0.0 0.0
C 2.74159 6.09829 -4.28100 0.0 -0.1 -0.1
C 1.59201 5.20354 -4.73791 -0.1 0.1 0.1
C 1.99698 3.85760 -4.15206 0.1 -0.1 0.0
O 2.72462 4.13907 -2.95575 0.0 0.0 -0.1
C 3.04158 5.53508 -2.89872 -0.1 0.0 0.1
H 2.49267 7.15803 -4.25945 0.0 0.0 0.0
H 3.60389 5.96379 -4.93812 0.0 0.0 0.0
H 0.65513 5.54251 -4.28983 0.0 0.0 0.0
H 1.45974 5.17113 -5.81848 0.0 0.0 0.0
H 2.65320 3.30805 -4.83669 0.0 0.0 0.0
H 1.14127 3.22436 -3.91124 0.0 0.0 0.0
H 2.40940 6.00117 -2.13497 0.0 0.1 0.0
H 4.08199 5.65983 -2.60485 0.0 0.0 0.1
C 0.79806 -3.74805 1.29195 -0.2 0.0 0.1
C -0.42569 -2.83707 1.34339 0.1 0.1 -0.1
-- stop --

Worked solution:
C -4.41428 0.04233 6.58397 0.1 -0.1 0.1
C -4.44429 -0.24169 5.08948 0.0 0.1 -0.1
O -3.41161 0.56184 4.50203 -0.1 0.0 0.2
C -2.94492 1.51443 5.46383 0.1 -0.1 0.0
H -3.49435 1.78976 7.56196 0.0 0.0 0.0
H -4.77534 2.16427 6.40377 0.0 0.0 0.0
H -3.68142 -0.60111 7.07625 0.0 0.0 0.0
H -5.38011 -0.11449 7.06134 0.0 0.0 0.0
H -5.40129 0.05081 4.65235 -0.1 0.0 0.0
H -4.25917 -1.28995 4.85300 0.1 0.0 -0.1
H -1.94778 1.20733 5.79768 0.0 0.1 0.0
H -2.86517 2.49354 4.98858 0.0 0.0 0.0
C 2.74159 6.09829 -4.28100 0.0 -0.1 -0.1
C 1.59201 5.20354 -4.73791 -0.1 0.1 0.1
C 1.99698 3.85760 -4.15206 0.1 -0.1 0.0
O 2.72462 4.13907 -2.95575 0.0 0.0 -0.1
C 3.04158 5.53508 -2.89872 -0.1 0.0 0.1
H 2.49267 7.15803 -4.25945 0.0 0.0 0.0
H 3.60389 5.96379 -4.93812 0.0 0.0 0.0
H 0.65513 5.54251 -4.28983 0.0 0.0 0.0
H 1.45974 5.17113 -5.81848 0.0 0.0 0.0
H 2.65320 3.30805 -4.83669 0.0 0.0 0.0
H 1.14127 3.22436 -3.91124 0.0 0.0 0.0
H 2.40940 6.00117 -2.13497 0.0 0.1 0.0
H 4.08199 5.65983 -2.60485 0.0 0.0 0.1
C 0.79806 -3.74805 1.29195 -0.2 0.0 0.1
C -0.42569 -2.83707 1.34339 0.1 0.1 -0.1